rahvin said:
the prose has lost its focus, you're tying words together in an overdone stream of consciousness.
Well, it's just my stream of thought, nothing more, so it's kind of obvious that it's going to lose its focus; streams of thought are like that, they jump around chaotically without getting anywhere (most of the time). And the "overdone stream of consciousness" could be due to my excessive obsession (yes, i tend to become obsessed with just about anything, though i'm trying to change that just a bit).
rahvin said:
but don't stop listening to entwine. i like entwine. just realize their lyrics are utter shit.
Data records that have nothing to do with the page
........
No. 1
Crystalline Sc6Fe2Sb at its relaxed geometry. Source: the Alexandria database, functional GGA-PBE.

**DOS at the Fermi energy**: 7.80 states/eV/f.u.
**Magnetic moment**: 0.00 μB per cell
**Calculated total energy**: -6.907 eV per atom

a b c (Å): 7.8167 7.8167 7.8167
angles (deg): 111.48 110.16 106.81
Element x y z (fractional)
1 Sc 0.0122 0.8129 0.1994
2 Sc 0.2361 0.5145 0.2784
3 Sc 0.2361 0.9576 0.7216
4 Sc 0.2830 0.3112 0.5942
5 Sc 0.2830 0.6888 0.9718
6 Sc 0.3865 0.1871 0.1994
7 Sc 0.6135 0.8129 0.8006
8 Sc 0.7170 0.3112 0.0282
9 Sc 0.7170 0.6888 0.4058
10 Sc 0.7639 0.0424 0.2784
11 Sc 0.7639 0.4855 0.7216
12 Sc 0.9878 0.1871 0.8006
13 Fe 0.0000 0.1247 0.1247
14 Fe 0.0000 0.8753 0.8753
15 Fe 0.3856 0.3856 0.0000
16 Fe 0.6144 0.6144 0.0000
17 Sb 0.0000 0.5000 0.5000
18 Sb 0.5000 0.0000 0.5000

---

No. 2
Crystalline ScFe2Sb at its relaxed geometry. Source: the Alexandria database, functional GGA-PBE.

**DOS at the Fermi energy**: 2.86 states/eV/f.u.
**Magnetic moment**: 4.24 μB per cell
**Calculated total energy**: -6.724 eV per atom

a b c (Å): 5.3188 5.3188 3.0575
angles (deg): 104.92 104.92 115.69
Element x y z (fractional)
1 Sc 0.0000 0.0000 0.0000
2 Fe 0.0000 0.5000 0.5000
3 Fe 0.5000 0.0000 0.5000
4 Sb 0.5000 0.5000 0.0000

---

No. 3
Crystalline Sc6FeSb2 at its relaxed geometry. Source: the Alexandria database, functional GGA-PBE.

**DOS at the Fermi energy**: 7.57 states/eV/f.u.
**Magnetic moment**: 0.42 μB per cell
**Calculated total energy**: -6.659 eV per atom

a b c (Å): 7.6507 7.6507 3.8989
angles (deg): 90.00 90.00 120.00
Element x y z (fractional)
1 Sc 0.0000 0.3893 0.0000
2 Sc 0.0000 0.7677 0.5000
3 Sc 0.2323 0.2323 0.5000
4 Sc 0.3893 0.0000 0.0000
5 Sc 0.6107 0.6107 0.0000
6 Sc 0.7677 0.0000 0.5000
7 Fe 0.0000 0.0000 0.0000
8 Sb 0.3333 0.6667 0.5000
9 Sb 0.6667 0.3333 0.5000

---

No. 4
Crystalline ScFeSb2 at its relaxed geometry. Source: the Alexandria database, functional GGA-PBE.

**DOS at the Fermi energy**: 3.75 states/eV/f.u.
**Magnetic moment**: 1.91 μB per cell
**Calculated total energy**: -5.812 eV per atom

a b c (Å): 4.8722 4.8722 4.8722
angles (deg): 60.00 60.00 60.00
Element x y z (fractional)
1 Sc 0.0000 0.0000 0.0000
2 Fe 0.5000 0.5000 0.5000
3 Sb 0.2500 0.2500 0.2500
4 Sb 0.7500 0.7500 0.7500

---

No. 5
Crystalline ScFe2Sb at its relaxed geometry. Source: the Alexandria database, functional GGA-PBE.

**DOS at the Fermi energy**: 1.61 states/eV/f.u.
**Magnetic moment**: 0.00 μB per cell
**Calculated total energy**: -6.973 eV per atom

a b c (Å): 4.2829 4.2829 3.2065
angles (deg): 90.00 90.00 90.00
Element x y z (fractional)
1 Sc 0.0000 0.0000 0.0000
2 Fe 0.0000 0.5000 0.5000
3 Fe 0.5000 0.0000 0.5000
4 Sb 0.5000 0.5000 0.0000

---

No. 6
Crystalline ScFeSb2 at its relaxed geometry. Source: the Alexandria database, functional GGA-PBE.

**DOS at the Fermi energy**: 4.53 states/eV/f.u.
**Magnetic moment**: 2.04 μB per cell
**Calculated total energy**: -5.855 eV per atom

a b c (Å): 4.9775 4.9775 4.9775
........
The data records stop here
I was thinking about that yesterday. They're one of my favorite bands, and i just love the rapture i feel when listening to their music, but if you analyze their lyrics they're nothing compared to Tranquillity (in the sense that they're simple and easy to understand) and most (not all) of them are "i love/need you" crap.
TheFourthHorseman said:
I'm not sure if I can describe it any better than I already did. Too wordy, too gothic, too cliched.
"Wordy"? Yes, i enjoy writing like i do. "Gothic"? In what sense? I don't think i write in "goth" style, if that's what you mean. And if you mean "dark" and "depressive" then yes, i do write like that, and, once again, i enjoy it. "Cliched"? Could you be more specific? And, at that, do you even understand what's being said? (Not to be taken as an insult, but rather i don't believe it's that easy to understand without knowing the whole background to what i write, i.e. the things i've gone through.)
Hitori said:
as for your xanga- i think (i may be wrong) what rahvin and TFH are trying to say is that you write in an overly dramatic gothic suffering cliched way. i think it's probably due to the fact that you are overly ambiguous and you indulge in fragmented sentences, along with the abundance of words like "failure" "emptiness" "i'm dying" "solitude" "beautiful pain" "crystal loneliness" coupled with phrases like "tell me this isn't happening to me" etc.
Okay, okay, "i'm dying" and "tell me this isn't happening" may be cliche, i admit it. But the rest isn't!
Inserted here: crystal structures.
/*
Entry 1:
# AlRhAu2 SCAN PBEsol geometry
data_AlRhAu2
_chemical_formula_sum 'Al1 Rh1 Au2'
_cell_length_a 2.9134
_cell_length_b 3.7605
_cell_length_c 5.5952
_cell_angle_alpha 90.00
_cell_angle_beta 90.00
_cell_angle_gamma 90.00
_symmetry_space_group_name_H-M 'P 1'
_symmetry_Int_Tables_number 1
loop_
_symmetry_equiv_pos_as_xyz
'x,y,z'
loop_
_atom_site_label
_atom_site_type_symbol
_atom_site_fract_x
_atom_site_fract_y
_atom_site_fract_z
Al1 Al 0.5000 0.5000 0.5000
Au1 Au 0.0000 0.0000 0.7456
Au2 Au 0.0000 0.0000 0.2544
Rh1 Rh 0.5000 0.5000 0.0000
# **Magnetic moment**: 0.0 μB per formula unit
# **ΔE_f**: -1.09 eV/f.u.
# **DOS at the Fermi energy**: 2.27 states/eV/cell

Entry 2:
# AlRhAu3 SCAN PBEsol geometry
data_AlRhAu3
_chemical_formula_sum 'Al1 Rh1 Au3'
_cell_length_a 4.5976
_cell_length_b 4.5976
_cell_length_c 4.5976
_cell_angle_alpha 90.00
_cell_angle_beta 90.00
_cell_angle_gamma 90.00
_symmetry_space_group_name_H-M 'P 1'
_symmetry_Int_Tables_number 1
loop_
_symmetry_equiv_pos_as_xyz
'x,y,z'
loop_
_atom_site_label
_atom_site_type_symbol
_atom_site_fract_x
_atom_site_fract_y
_atom_site_fract_z
Au1 Au 0.0000 0.5000 0.0000
Au2 Au 0.5000 0.0000 0.0000
Au3 Au 0.0000 0.0000 0.5000
Rh1 Rh 0.5000 0.5000 0.5000
Al1 Al 0.0000 0.0000 0.0000
# **Magnetic moment**: 1.1 μB per formula unit
# **ΔE_f**: 3.23 eV/f.u.
# **DOS at the Fermi energy**: 3.22 states/eV/cell

Raw total energy, record by record: -45.232, -49.154 eV per atom


1.
First-principles (PBE-GGA) data for a geometry-optimized RhPbSe2 structure, as listed in the Alexandria database.

```
RhPbSe2
1.0
1.888 1.090 7.439
-1.888 1.090 7.439
0.000 -2.180 7.439
Rh Pb Se
1 1 2
direct
0.000 0.000 0.000
0.163 0.163 0.163
0.390 0.390 0.390
0.608 0.608 0.608
```

Computed properties:
The uncorrected formation energy is -0.3336 eV per atom. The space group is R3m, No. 160.

***

2.
First-principles (PBE-GGA) data for a geometry-optimized Dy4YPd2 structure, as listed in the Alexandria database.

```
Dy4YPd2
1.0
7.842 0.000 0.000
0.000 6.371 0.000
-3.123 0.000 7.478
Dy Y Pd
8 2 4
direct
0.020 0.250 0.391
0.247 0.750 0.348
0.408 0.005 0.771
0.408 0.495 0.771
0.592 0.505 0.229
0.592 0.995 0.229
0.753 0.250 0.652
0.980 0.750 0.609
0.154 0.250 0.024
0.846 0.750 0.976
0.239 0.750 0.992
0.382 0.250 0.420
0.618 0.750 0.580
0.761 0.250 0.008
```

Computed properties:
Its formation energy from the elements is -0.438 eV per atom. For the distance to the lowest polymorph of the same formula, the calculation gives 0.00 eV per formula unit. The space group is P2_1/m, No. 11.

***

3.
First-principles (PBE-GGA) data for a geometry-optimized CaNd4Ga5 structure, as listed in the Alexandria database.

```
CaNd4Ga5
1.0
3.685 0.000 0.000
0.000 3.685 0.000
0.000 0.000 18.556
Ca Nd Ga
1 4 5
direct
0.000 0.000 0.000
0.000 0.000 0.198
0.000 0.000 0.400
0.000 0.000 0.600
0.000 0.000 0.802
0.500 0.500 0.098
0.500 0.500 0.300
0.500 0.500 0.500
0.500 0.500 0.700
0.500 0.500 0.902
```

Computed properties:
*/

Nah, thanks for clarifying that for me (if indeed they mean that). But isn't being overly ambiguous (and i believe the fragmented sentences add to the ambiguousness) what Dark Tranquillity, for example, does? Not that i'm trying to compare myself with them (Mikael and i write totally different stuff), but i don't think being ambiguous is that bad. At any rate, it's much better than writing literally: "yesterday i hanged out with my friend jamie and he reminded me of my lindsey and how much i miss her and i felt very very bad (insert smilie here)".
Hitori said:
but anyway, from what i read of your comments, your readers enjoy it, so if it works for you that's all that should matter.
I actually write for myself, not for my readers. But if they enjoy it it's cool, it's a way to meet people with similar interests as me. And yes, that's all that matters.
Anyway, let's not turn this thread into a "what do you think about Undo's writings?" one (although you guys could start one if you wish

Hitori said:
...at uni we get trained to (try to) shred every text to pieces
No hard feelings, man, don't worry. =)
Hitori said:
**Misplaced data records:**
~~~
Material: NdScPt2
Method: DFT, PBE
State: optimized geometry

Unit cell a=5.4608 b=5.4608 c=5.4608 alpha=49.79 beta=49.79 gamma=49.79
Element x y z (fractional)
Nd 0.0000 0.0000 0.0000
Sc 0.5000 0.5000 0.5000
Pt 0.2184 0.2184 0.2184
Pt 0.7816 0.7816 0.7816

Output
- Energy above the most stable polymorph in this dataset: 28 meV/atom

Material: DyThMgCd
Method: DFT, PBE
State: optimized geometry

Unit cell a=5.3787 b=5.3787 c=5.3787 alpha=60.00 beta=60.00 gamma=60.00
Element x y z (fractional)
Dy 0.0000 0.0000 0.0000
Th 0.5000 0.5000 0.5000
Mg 0.7500 0.7500 0.7500
Cd 0.2500 0.2500 0.2500

Output
- Total DFT energy (no corrections): -14.834 eV per formula unit

Material: Ca5Tl6Ag
Method: DFT, PBE
State: optimized geometry

Unit cell a=9.3747 b=9.3747 c=5.4040 alpha=106.68 beta=106.68 gamma=119.92
Element x y z (fractional)
Ca 0.0000 0.0000 0.0000
Ca 0.1651 0.8349 0.5000
Ca 0.3304 0.6696 0.0000
Ca 0.6696 0.3304 0.0000
Ca 0.8349 0.1651 0.5000
Tl 0.1037 0.4243 0.2628
Tl 0.2702 0.2702 0.7731
Tl 0.4243 0.1037 0.2628
Tl 0.5757 0.8963 0.7372
Tl 0.7298 0.7298 0.2269
Tl 0.8963 0.5757 0.7372
Ag 0.5000 0.5000 0.5000

Output
- Total DFT energy (no corrections): -31.114 eV per formula unit

Material: MoAsAu2
Method: DFT, PBE
State: optimized geometry

Unit cell a=5.1195 b=5.1195 c=2.7645 alpha=90.00 beta=90.00 gamma=90.00
Element x y z (fractional)
Mo 0.0000 0.0000 0.0000
As 0.5000 0.5000 0.0000
Au 0.0000 0.5000 0.5000
Au 0.5000 0.0000 0.5000

Output
- Total DFT energy (no corrections): -20.142 eV per formula unit

----------

Material: MgZn2O3
Method: DFT, SCAN
State: PBEsol geometry

Computed properties:
space-group type: No. 164
uncorrected formation energy: -12.03 eV per formula unit

POSCAR file:
```
MgZn2O3
1.0
-1.8064 -2.0776 1.2242
0.7310 -0.1702 -2.9180
5.8637 -4.0920 1.7075
Zn Mg O
2 1 3
Direct
0.6667 0.3333 0.3316
0.3333 0.6667 0.6684
0.0000 0.0000 0.0000
0.6667 0.3333 0.8385
0.3333 0.6667 0.1615
0.0000 0.0000 0.5000
```



Material: Mg2ScIn
Method: DFT, SCAN
State: PBEsol geometry

Computed properties:
space-group type: No. 123
formation energy: -32.66 kJ/mol of atoms

POSCAR file:
```
Mg2ScIn
1.0
4.3259 0.0000 0.0000
0.0000 4.3259 0.0000
0.0000 0.0000 4.5962
Sc Mg In
1 2 1
Direct
0.5000 0.5000 0.5000
0.0000 0.5000 0.0000
0.5000 0.0000 0.0000
0.0000 0.0000 0.5000
```



Material: Cr2FePt
Method: DFT, SCAN
State: PBEsol geometry

Computed properties:
space-group type: No. 99
formation energy: -7.57 kJ/mol of atoms

POSCAR file:
```
Cr2FePt
1.0
-1.5951 -2.1498 1.1281
2.1944 -0.6993 1.7703
-2.0687 3.6338 3.9997
Cr Fe Pt
2 1 1
Direct
0.0000 0.0000 0.0355
0.5000 0.5000 0.2489
0.0000 0.0000 0.4682
0.5000 0.5000 0.7474
```



Material: Nb3O7F
Method: DFT, SCAN
State: PBEsol geometry

Computed properties:
space-group type: No. 65
excess energy over the best structure of this formula in the dataset: 54 meV per atom
uncorrected formation energy: -29.86 eV per formula unit

POSCAR file:
```
Nb3O7F
1.0
3.8665 0.0000 0.0000
0.0000 3.9550 0.0000
~~~
**Here the entry continues:**
no, i'm graduating from university, i studied spanish literature.
So, anyway, you said you didn't know what to do after you graduated. Something in the direction of being a writer or a critic sounds too obvious, so i assume you don't want to be either. What was your plan when you started your career?